Example solutions for script 06_introduction_to_files

Exercise 6.2

import csv
with open("fasta_stat.csv", "w") as fh_csv:
    csv_writer = csv.writer(fh_csv)
    csv_writer.writerow(["description", "symbol_count", "gc content"])
    with open("short.fasta", "r") as fh_fasta:
        for line in fh_fasta:
            line = line.rstrip()
            if len(line) > 0 and line[0] == ">":
                last_status = line
                count = 0
                gc_count = 0
            elif line == "":
                relative_gc_count = gc_count / count
                print(count, gc_count, last_status)
                csv_writer.writerow([last_status, count, relative_gc_count])
                count += len(line)
                gc_count += line.count("G") + line.count("C")
740 441 >gi|2765658|emb|Z78533.1|CIZ78533 C.irapeanum 5.8S rRNA gene and ITS1 and ITS2 DNA
753 365 >gi|2765657|emb|Z78532.1|CCZ78532 C.californicum 5.8S rRNA gene and ITS1 and ITS2 DNA
748 427 >gi|2765656|emb|Z78531.1|CFZ78531 C.fasciculatum 5.8S rRNA gene and ITS1 and ITS2 DNA
744 354 >gi|2765655|emb|Z78530.1|CMZ78530 C.margaritaceum 5.8S rRNA gene and ITS1 and ITS2 DNA
733 351 >gi|2765654|emb|Z78529.1|CLZ78529 C.lichiangense 5.8S rRNA gene and ITS1 and ITS2 DNA
718 364 >gi|2765652|emb|Z78527.1|CYZ78527 C.yatabeanum 5.8S rRNA gene and ITS1 and ITS2 DNA

Exercise 6.4

import csv
with open("amino_acids.csv", "r") as fh:
    for line in csv.reader(fh, delimiter=","):
['1-letter code', '3-letter code', 'Chemical formula', 'Monoisotopic', 'Average']
['A', 'Ala', 'C3H5ON', '89.0476750638', '89.09408']
['R', 'Arg', 'C6H12ON4', '174.11167506380002', '174.20278']
['N', 'Asn', 'C4H6O2N2', '132.0534950638', '132.11908']
['D', 'Asp', 'C4H5O3N', '133.03750506379998', '133.10388']
['C', 'Cys', 'C3H5ONS', '121.0197550638', '121.15408000000001']
['E', 'Glu', 'C5H7O3N', '147.05315506379998', '147.13078']
['Q', 'Gln', 'C5H8O2N2', '146.06914506380002', '146.14597999999998']
['G', 'Gly', 'C2H3ON', '75.0320250638', '75.06718000000001']
['H', 'His', 'C6H7ON3', '155.06947506379998', '155.15637999999998']
['I', 'Ile', 'C6H11ON', '131.09462506379998', '131.17468']
['L', 'Leu', 'C6H11ON', '131.09462506379998', '131.17468']
['K', 'Lys', 'C6H12ON2', '146.10552506379997', '146.18938']
['M', 'Met', 'C5H9ONS', '149.0510550638', '149.20788']
['F', 'Phe', 'C9H9ON', '165.0789750638', '165.19188']
['P', 'Pro', 'C5H7ON', '115.06332506380001', '115.13198']
['S', 'Ser', 'C3H5O2N', '105.04259506380001', '105.09348']
['T', 'Thr', 'C4H7O2N', '119.0582450638', '119.12038']
['W', 'Trp', 'C11H10ON2', '204.08987506379998', '204.22848']
['Y', 'Tyr', 'C9H9O2N', '181.07389506380002', '181.19127999999998']
['V', 'Val', 'C5H9ON', '117.0789750638', '117.14788']

Exercise 6.5

import csv

**Crystal structures from another source follow:**
____________
(1)
A plane-wave DFT calculation with GGA-PBE was carried out for crystalline BaTl2Se2 at its relaxed geometry.

Cell and atoms, written as POSCAR:
```
BaTl2Se2
1.0
-2.238 2.238 8.162
2.238 -2.238 8.162
2.238 2.238 -8.162
Ba Tl Se
1 2 2
Cartesian
0.000 0.000 0.000
2.238 0.000 4.081
0.000 2.238 4.081
0.000 0.000 6.590
0.000 0.000 9.735
```

## Properties
- Space-group type: I4/mmm
- Raw formation energy: -0.81 eV per atom
- Excess energy over the best structure of this formula in the dataset: 244 meV per atom
- Electronic total energy: -0.2599 Ry/atom
- Mass density: 7.1 g/cm³

***

(2)
A plane-wave DFT calculation with GGA-PBE was carried out for crystalline SmY5Sc2 at its relaxed geometry.

Cell and atoms, written as POSCAR:
```
SmY5Sc2
1.0
2.668 -5.772 0.000
2.668 5.772 0.000
0.000 0.000 16.037
Sm Y Sc
2 10 4
Cartesian
2.668 2.931 12.028
2.668 -2.931 4.009
2.668 5.139 9.596
2.668 5.139 14.459
2.668 1.658 8.645
2.668 1.658 15.410
2.668 0.285 4.009
2.668 -0.285 12.028
2.668 -1.658 0.627
2.668 -1.658 7.391
2.668 -5.139 1.577
2.668 -5.139 6.441
2.668 3.146 2.338
2.668 3.146 5.680
2.668 -3.146 10.356
2.668 -3.146 13.699
```

## Properties
- Space-group type: Cmcm
- Excess energy over the best structure of this formula in the dataset: 99 meV per atom
- Electronic total energy: -0.4466 Ry/atom
- Mass density: 4.6 g/cm³

***

(3)
A plane-wave DFT calculation with GGA-PBE was carried out for crystalline TlTc2Rh at its relaxed geometry.

Cell and atoms, written as POSCAR:
```
TlTc2Rh
1.0
2.627 -4.332 0.000
2.627 4.332 0.000
0.000 0.000 2.871
Tl Tc Rh
1 2 1
Cartesian
0.000 0.000 0.000
1.314 2.166 1.435
1.314 -2.166 1.435
2.627 0.000 0.000
```

## Properties
- Space-group type: Cmmm
- Excess energy over the best structure of this formula in the dataset: 313 meV per atom
- Electronic total energy: -0.5184 Ry/atom
- Mass density: 12.8 g/cm³

***

(4)
A plane-wave DFT calculation with GGA-PBE was carried out for crystalline PmGdSi2 at its relaxed geometry.

Cell and atoms, written as POSCAR:
```
PmGdSi2
1.0
2.341 1.352 5.147
-2.341 1.352 5.147
0.000 -2.703 5.147
Pm Gd Si
1 1 2
Cartesian
0.000 0.000 0.000
0.000 0.000 7.721
0.000 0.000 3.785
0.000 0.000 11.657
```

## Properties
- Space-group type: R-3m
- Raw formation energy: -0.48 eV per atom
- Electronic total energy: -0.5805 Ry/atom
- Mass density: 6.1 g/cm³

***

(5)
A plane-wave DFT calculation with GGA-PBE was carried out for crystalline Na3Sn3Au2 at its relaxed geometry.

Cell and atoms, written as POSCAR:
```
Na3Sn3Au2
1.0
2.384 -5.500 0.000
2.384 5.500 0.000
0.000 0.000 15.631
Na Sn Au
6 6 4
Cartesian
2.384 4.708 9.626
2.384 4.708 13.820
2.384 1.655 11.723
2.384 -1.655 3.908
2.384 -4.708 1.811
____________
**Here the piece continues:**

count = 0
mono_sum = 0.0

with open("amino_acids.csv", "r") as fh:
    r = csv.reader(fh, delimiter=",")
    for line in r:
        mono_sum += float(line[3])
        count += 1
print("average monoisotopic mass is", mono_sum / count)
average monoisotopic mass is 136.81628106379998

Exercise 6.6

import csv

count = 0
mono_sum = 0.0
max_mass = 0

with open("amino_acids.csv", "r") as fh:
    r = csv.reader(fh, delimiter=",")
    header = next(r)
    for line in r:
        mono_mass = float(line[3])
        if mono_mass > max_mass:
            max_mass = mono_mass
        mono_sum += mono_mass
        count += 1
print("average monoisotopic mass is", mono_sum / count)
print("max monoisotopic mass is", max_mass)
average monoisotopic mass is 136.81628106379998
max monoisotopic mass is 204.08987506379998

Exercise 6.8 (includes solution for 6.7)

(asking the user until he enters only one sympol was not part of the exercise desciption, I added it just for demonstration purposes):

while True:
    one_letter_code = input("tell me a one letter code: ").upper()
    if len(one_letter_code) != 1:
        print("this is not a one letter input, try again")

found = False

with open("amino_acids.csv", "r") as fh:
    r = csv.reader(fh, delimiter=",")

    for line in r:
        if line[0] == one_letter_code:
            print(one_letter_code, "has monoisotopic mass", line[3], ", its molecular formula is", line[2])
            found = True

== Inserted here: records of crystals ==
/*
A plane-wave DFT calculation with GGA-PBE was carried out for crystalline Sr2Pd2Br at its relaxed geometry.

As for the crystal system: tetragonal. For the calculated total energy, the calculation gives -3.84 eV/atom. As for the uncorrected formation energy: -757 meV per atom. The value obtained for the polymorph energy (0 for the lowest one) is 0.0000 eV per atom.

The structure belongs to space group P4/mbm (No. 127); the cell edges are 8.370, 8.370 and 3.859 Å and the angles 90.00°, 90.00° and 90.00°. The inequivalent atoms are Sr at (0.181, 0.319, 0.000), Pd at (0.113, 0.613, 0.500) and Br at (0.000, 0.000, 0.500).

~~~~~

--- P ---
Material: NiPtBr
Method: DFT, GGA-PBE
State: optimized geometry

Structure (extended XYZ):
```
3
Lattice="-1.351 -4.031 0.412 2.321 -3.205 -1.608 2.045 -2.681 2.622" Properties=species:S:1:pos:R:3 pbc="T T T"
Pt 0.000 0.000 0.000
Br 1.507 -4.958 0.713
Ni 2.260 -7.438 1.070
```

Results
Space-group type ... F-43m, No. 216
Crystal system ... cubic

=====

--- Q ---
Material: NiPtBr
Method: DFT, GGA-PBE
State: optimized geometry

Structure (extended XYZ):
```
3
Lattice="-2.110 1.411 -2.179 2.878 -1.323 -1.076 -2.436 -4.727 -0.701" Properties=species:S:1:pos:R:3 pbc="T T T"
Pt -0.301 -3.353 -1.880
Br -0.113 -0.219 -0.033
Ni -1.255 -1.067 -2.044
```

Results
Space-group type ... P3m1, No. 156
Crystal system ... trigonal

=====

Computed relative energies in units of meV per atom: P 338; Q 0

=====

--- P ---
Material: RbNi3Br
Method: DFT, GGA-PBE
State: optimized geometry

Structure (extended XYZ):
```
5
Lattice="-3.310 -1.044 -3.501 -2.625 -2.606 3.259 -2.541 4.052 1.194" Properties=species:S:1:pos:R:3 pbc="T T T"
Ni -1.271 2.026 0.597
Ni -1.312 -1.303 1.629
Rb 0.000 0.000 0.000
Br -4.238 0.201 0.476
Ni -1.655 -0.522 -1.751
```

Results
Space-group type ... Pm-3m, No. 221
Crystal system ... cubic

=====

--- Q ---
Material: RbNi3Br
Method: DFT, GGA-PBE
State: optimized geometry

Structure (extended XYZ):
```
5
Lattice="4.621 0.000 0.000 0.000 4.621 0.000 0.000 0.000 4.621" Properties=species:S:1:pos:R:3 pbc="T T T"
Br 0.000 0.000 0.000
Ni 0.000 0.000 2.311
Ni 2.311 0.000 0.000
Rb 2.311 2.311 2.311
Ni 0.000 2.311 0.000
```

Results
Space-group type ... Pm-3m, No. 221
Crystal system ... cubic

=====

Computed relative energies in units of meV per atom: P 1230; Q 0

=====

--- P ---
Material: Rb2NiSnBr6
Method: DFT, GGA-PBE
State: optimized geometry

Structure (extended XYZ):
```
10
Lattice="-3.279 6.736 -1.935 -2.969 0.600 7.119 1.350 6.317 4.235" Properties=species:S:1:pos:R:3 pbc="T T T"
Ni -3.124 3.668 2.592
Br -3.197 5.114 0.459
Rb -2.527 8.360 2.446
Br -3.051 2.222 4.726
Sn 0.000 0.000 0.000
Rb -2.372 5.292 6.973
Br -1.021 4.913 3.364
Br -4.597 5.396 3.814
Br -3.878 8.739 6.055
Br -1.652 1.939 1.371
```

Results
Space-group type ... I4/mmm, No. 139
Crystal system ... tetragonal

=====

--- Q ---
Material: Rb2NiSnBr6
Method: DFT, GGA-PBE
State: optimized geometry

Structure (extended XYZ):
```
10
*/

if not found:
    print("the given code is invalid")
tell me a one letter code: T
T has monoisotopic mass 119.0582450638 , its molecular formula is C4H7O2N